Listing =
+++
! Er5Cd2Tc PBE optimized geometry; values from VASP
! Energy relative to the elements = -0.18 eV per atom
! Symmetry = Pbam (55)
! Energy = -0.1676 Ha/atom
&SYSTEM
  ibrav = 0, nat = 16, ntyp = 3
/
ATOMIC_SPECIES
Er 167.26 Er.upf
Cd 112.41 Cd.upf
Tc 98.00 Tc.upf
ATOMIC_POSITIONS crystal
Er 0.0000 0.0000 0.0000
Er 0.1267 0.2847 0.0000
Er 0.1580 0.6016 0.5000
Er 0.3420 0.1016 0.5000
Er 0.3733 0.7847 0.0000
Er 0.5000 0.5000 0.0000
Er 0.6267 0.2153 0.0000
Er 0.6580 0.8984 0.5000
Er 0.8420 0.3984 0.5000
Er 0.8733 0.7153 0.0000
Cd 0.1312 0.8610 0.5000
Cd 0.3688 0.3610 0.5000
Cd 0.6312 0.6390 0.5000
Cd 0.8688 0.1390 0.5000
Tc 0.0000 0.5000 0.0000
Tc 0.5000 0.0000 0.0000
CELL_PARAMETERS angstrom
6.5336 0.0000 0.0000
0.0000 12.2552 0.0000
0.0000 0.0000 5.0683

----------

Na2TlZn, optimized geometry, DFT PBE; formation energy from the elements = 33 meV/atom; E = -6.1 eV per cell; V = 103 Å³/f.u.
1.0
0.000 3.720 3.720
3.720 0.000 3.720
3.720 3.720 0.000
Na Tl Zn
2 1 1
direct
0.250 0.250 0.250
0.750 0.750 0.750
0.500 0.500 0.500
0.000 0.000 0.000

----------

KSc2Co (PBE, relaxed); M_tot = 0.13 μB/cell
1.0
-2.081 2.081 5.139
2.081 -2.081 5.139
2.081 2.081 -5.139
K Sc Co
1 2 1
direct
0.000 0.000 0.000
0.250 0.750 0.500
0.500 0.500 0.000
0.750 0.250 0.500



KScCo2 (PBE, relaxed); M_tot = 0.57 μB/cell
1.0
1.526 0.881 9.100
-1.526 0.881 9.100
0.000 -1.762 9.100
K Sc Co
1 1 2
direct
0.000 0.000 0.000
0.500 0.500 0.500
0.235 0.235 0.235
0.765 0.765 0.765



KSc2Co (PBE, relaxed); M_tot = 0.00 μB/cell
1.0
3.272 -1.887 0.000
3.272 1.887 0.000
-2.207 0.000 9.374
K Sc Co
1 2 1
direct
0.000 0.000 0.000
0.546 0.546 0.632
0.790 0.790 0.367
0.168 0.168 0.500



no.,relative energy among the computed polymorphs (meV per atom),formation enthalpy at 0 K (meV per atom)
1,803,868
2,414,671
3,22,86

----------

Record 1
Density functional theory data (PBE-GGA) for a relaxed Ho2PdAu3 crystal.

Space-group type: No. 65
Formation enthalpy at 0 K: -0.7293 eV per atom

Cell lengths 4.5195, 13.8372, 3.9500 Å; angles 90.00, 90.00, 90.00 degrees
Element x y z (fractional)
Ho 0.0000 0.1530 0.0000
Ho 0.0000 0.8470 0.0000
Ho 0.5000 0.3471 0.0000
Ho 0.5000 0.6530 0.0000
Pd 0.0000 0.5000 0.0000
Pd 0.5000 0.0000 0.0000
Au 0.0000 0.0000 0.5000
Au 0.0000 0.3313 0.5000
Au 0.0000 0.6687 0.5000
Au 0.5000 0.1687 0.5000
Au 0.5000 0.5000 0.5000
Au 0.5000 0.8313 0.5000

Record 2
Density functional theory data (PBE-GGA) for a relaxed CuSbP crystal.

Energy above the most stable polymorph in this dataset: 0.2809 eV per atom
Space-group type: No. 194
Formation energy from raw total energies: 0.4601 eV per atom

Cell lengths 4.9075, 4.9075, 5.3781 Å; angles 90.00, 90.00, 120.00 degrees
Element x y z (fractional)
Cu 0.0000 0.0000 0.0000
Cu 0.0000 0.0000 0.5000
Sb 0.3333 0.6667 0.2500
Sb 0.6667 0.3333 0.7500
P 0.3333 0.6667 0.7500
P 0.6667 0.3333 0.2500

Record 3
Density functional theory data (PBE-GGA) for a relaxed Ca3Ho3PtO8 crystal.

Space-group type: No. 12
Formation energy from raw total energies: -2.6576 eV per atom

Cell lengths 6.7896, 6.7896, 6.6578 Å; angles 119.31, 119.31, 58.14 degrees
Element x y z (fractional)
Ca 0.0000 0.0000 0.0000
Ca 0.0000 0.5000 0.5000
Ca 0.5000 0.0000 0.5000
Ho 0.0000 0.5000 0.0000
Ho 0.5000 0.0000 0.0000
Ho 0.5000 0.5000 0.5000
Pt 0.0000 0.0000 0.5000
O 0.2385 0.7387 0.2517
O 0.2576 0.2576 0.2515
O 0.2613 0.7615 0.7483
O 0.2816 0.2816 0.8003
O 0.7184 0.7184 0.1997
O 0.7387 0.2385 0.2517
O 0.7424 0.7424 0.7485
O 0.7615 0.2613 0.7483

Record 4
Density functional theory data (PBE-GGA) for a relaxed Li4GdHo crystal.

Space-group type: No. 216
Formation enthalpy at 0 K: 0.1164 eV per atom

Cell lengths 5.8453, 5.8453, 5.8453 Å; angles 60.00, 60.00, 60.00 degrees
Element x y z (fractional)
Li 0.1251 0.1251 0.1251
Li 0.1251 0.1251 0.6246
Li 0.1251 0.6246 0.1251
Li 0.6246 0.1251 0.1251
Gd 0.7500 0.7500 0.7500
Ho 0.5000 0.5000 0.5000

Summary of calculated density in g/cm³
13.810 6.404 7.214 4.115
(order as listed above)
+++
Wanted =
Search the block earlier on for the word "relaxed" and give back each line that has it, please.
Written answer =
KSc2Co (PBE, relaxed); M_tot = 0.13 μB/cell
KScCo2 (PBE, relaxed); M_tot = 0.57 μB/cell
KSc2Co (PBE, relaxed); M_tot = 0.00 μB/cell
Density functional theory data (PBE-GGA) for a relaxed Ho2PdAu3 crystal.
Density functional theory data (PBE-GGA) for a relaxed CuSbP crystal.
Density functional theory data (PBE-GGA) for a relaxed Ca3Ho3PtO8 crystal.
Density functional theory data (PBE-GGA) for a relaxed Li4GdHo crystal.